What to do >
Repeat the lines underneath up to the one that holds "-5.582", that line included.

Given >
/*
Computed, not measured: a structure of composition C64H160Ag2F4N2O40S4 at a distorted geometry, with the ωB97M-V functional and the def2-TZVPD basis.

Positions of all 276 atoms, in Å:
Ag  -1.767  2.339  2.307
Ag  0.117  1.189  4.102
N  -0.105  0.229  1.996
S  -0.872  -1.260  1.766
O  -0.200  -2.239  2.617
O  -0.980  -1.375  0.365
F  -2.274  -0.902  2.298
S  0.859  0.739  0.788
O  0.142  1.700  -0.017
O  1.570  -0.394  0.268
F  2.021  1.658  1.505
N  -2.383  2.032  4.674
S  -2.627  3.484  5.429
O  -1.848  3.487  6.656
O  -4.033  3.815  5.448
F  -1.936  4.373  4.328
S  -3.194  0.781  5.165
O  -4.314  0.422  4.318
O  -3.300  1.048  6.567
F  -2.173  -0.480  4.985
C  3.550  2.017  -4.217
O  3.438  3.302  -3.696
C  3.247  3.318  -2.291
C  3.128  4.711  -1.731
O  4.405  5.420  -1.647
C  4.734  6.174  -2.841
H  2.541  1.555  -4.172
H  4.271  1.424  -3.689
H  3.654  2.057  -5.301
H  4.128  2.840  -1.819
H  2.293  2.798  -2.052
H  2.842  4.644  -0.667
H  2.394  5.258  -2.294
H  4.453  5.640  -3.759
H  5.808  6.303  -2.896
H  4.270  7.161  -2.867
C  6.191  4.246  0.420
O  6.879  4.084  1.675
C  7.141  2.770  2.142
C  7.262  2.809  3.649
O  6.018  3.128  4.262
C  5.864  4.450  4.712
H  5.199  3.775  0.474
H  6.719  3.779  -0.444
H  6.126  5.304  0.211
H  8.038  2.314  1.656
H  6.208  2.169  1.959
H  8.032  3.515  3.938
H  7.561  1.808  4.014
H  6.388  4.704  5.648
H  4.793  4.609  4.831
H  6.092  5.212  3.966
C  2.970  -4.684  0.787
O  3.901  -3.934  1.480
C  3.679  -2.551  1.576
C  4.856  -1.912  2.287
O  6.052  -2.087  1.554
C  7.201  -1.567  2.187
H  3.022  -4.440  -0.283
H  1.950  -4.511  1.149
H  3.223  -5.741  0.905
H  2.760  -2.332  2.151
H  3.424  -2.110  0.613
H  4.888  -2.290  3.324
H  4.638  -0.833  2.367
H  8.076  -1.878  1.611
H  7.304  -1.964  3.188
H  7.175  -0.473  2.236
C  -3.688  -2.731  -5.961
O  -3.044  -2.719  -4.748
C  -2.631  -1.496  -4.235
C  -1.755  -1.678  -2.964
O  -0.566  -2.328  -3.335
C  0.306  -2.675  -2.299
H  -2.983  -2.511  -6.760
H  -4.541  -2.090  -6.110
H  -4.061  -3.727  -6.232
H  -3.507  -0.850  -3.924
H  -2.000  -0.924  -4.966
H  -2.293  -2.251  -2.194
H  -1.600  -0.667  -2.537
H  0.695  -1.779  -1.807
H  1.227  -3.134  -2.742
H  -0.096  -3.408  -1.553
C  -3.203  1.402  -0.467
O  -3.453  1.359  0.934
C  -4.678  2.028  1.286
C  -4.659  3.528  0.953
O  -3.576  4.126  1.664
C  -3.835  5.335  2.347
H  -2.907  2.390  -0.830
H  -4.048  1.074  -1.097
H  -2.328  0.858  -0.727
H  -4.740  1.914  2.355
H  -5.508  1.535  0.791
H  -5.629  3.953  1.239
H  -4.534  3.564  -0.133
H  -2.884  5.737  2.663
H  -4.461  5.209  3.238
H  -4.328  6.025  1.652
C  -7.393  5.568  -0.457
O  -7.692  4.170  -0.541
C  -7.668  3.632  -1.837
C  -7.971  2.121  -1.853
O  -6.997  1.390  -1.151
C  -7.148  -0.029  -1.169
H  -6.378  5.803  -0.814
H  -7.409  5.869  0.575
H  -8.108  6.232  -0.982
H  -6.676  3.792  -2.276
H  -8.437  4.113  -2.478
H  -7.935  1.853  -2.926
H  -8.977  1.918  -1.477
H  -6.309  -0.463  -0.622
H  -7.114  -0.420  -2.176
H  -8.054  -0.440  -0.699
C  -11.366  -3.483  -2.540
O  -10.004  -3.792  -2.373
C  -9.261  -2.875  -1.569
C  -7.790  -3.112  -1.550
O  -7.176  -2.799  -2.765
C  -5.787  -3.186  -2.791
H  -11.866  -4.426  -2.818
H  -11.606  -2.748  -3.316
H  -11.868  -3.143  -1.599
H  -9.653  -2.914  -0.554
H  -9.423  -1.884  -1.986
H  -7.596  -4.192  -1.357
H  -7.368  -2.556  -0.721
H  -5.179  -2.399  -2.325
H  -5.461  -3.189  -3.813
H  -5.582  -4.160  -2.311
C  -3.893  2.381  -3.629
O  -2.627  2.943  -3.264
C  -1.635  2.700  -4.188
C  -0.302  2.972  -3.499
O  -0.177  4.321  -3.101
C  0.347  5.063  -4.195
H  -3.810  1.296  -3.776
H  -4.433  2.931  -4.420
H  -4.479  2.462  -2.707
H  -1.640  3.348  -5.074
H  -1.601  1.674  -4.578
H  0.617  2.634  -4.035
H  -0.317  2.449  -2.542
H  0.242  6.112  -3.959
H  -0.118  4.889  -5.160
H  1.395  4.822  -4.389
C  -0.271  0.557  7.354
O  0.480  0.299  6.174
C  1.661  -0.486  6.378
C  2.124  -1.068  5.042
O  2.387  0.008  4.151
C  3.569  0.688  4.414
H  0.414  0.761  8.186
*/

Written answer >
Computed, not measured: a structure of composition C64H160Ag2F4N2O40S4 at a distorted geometry, with the ωB97M-V functional and the def2-TZVPD basis.

Positions of all 276 atoms, in Å:
Ag  -1.767  2.339  2.307
Ag  0.117  1.189  4.102
N  -0.105  0.229  1.996
S  -0.872  -1.260  1.766
O  -0.200  -2.239  2.617
O  -0.980  -1.375  0.365
F  -2.274  -0.902  2.298
S  0.859  0.739  0.788
O  0.142  1.700  -0.017
O  1.570  -0.394  0.268
F  2.021  1.658  1.505
N  -2.383  2.032  4.674
S  -2.627  3.484  5.429
O  -1.848  3.487  6.656
O  -4.033  3.815  5.448
F  -1.936  4.373  4.328
S  -3.194  0.781  5.165
O  -4.314  0.422  4.318
O  -3.300  1.048  6.567
F  -2.173  -0.480  4.985
C  3.550  2.017  -4.217
O  3.438  3.302  -3.696
C  3.247  3.318  -2.291
C  3.128  4.711  -1.731
O  4.405  5.420  -1.647
C  4.734  6.174  -2.841
H  2.541  1.555  -4.172
H  4.271  1.424  -3.689
H  3.654  2.057  -5.301
H  4.128  2.840  -1.819
H  2.293  2.798  -2.052
H  2.842  4.644  -0.667
H  2.394  5.258  -2.294
H  4.453  5.640  -3.759
H  5.808  6.303  -2.896
H  4.270  7.161  -2.867
C  6.191  4.246  0.420
O  6.879  4.084  1.675
C  7.141  2.770  2.142
C  7.262  2.809  3.649
O  6.018  3.128  4.262
C  5.864  4.450  4.712
H  5.199  3.775  0.474
H  6.719  3.779  -0.444
H  6.126  5.304  0.211
H  8.038  2.314  1.656
H  6.208  2.169  1.959
H  8.032  3.515  3.938
H  7.561  1.808  4.014
H  6.388  4.704  5.648
H  4.793  4.609  4.831
H  6.092  5.212  3.966
C  2.970  -4.684  0.787
O  3.901  -3.934  1.480
C  3.679  -2.551  1.576
C  4.856  -1.912  2.287
O  6.052  -2.087  1.554
C  7.201  -1.567  2.187
H  3.022  -4.440  -0.283
H  1.950  -4.511  1.149
H  3.223  -5.741  0.905
H  2.760  -2.332  2.151
H  3.424  -2.110  0.613
H  4.888  -2.290  3.324
H  4.638  -0.833  2.367
H  8.076  -1.878  1.611
H  7.304  -1.964  3.188
H  7.175  -0.473  2.236
C  -3.688  -2.731  -5.961
O  -3.044  -2.719  -4.748
C  -2.631  -1.496  -4.235
C  -1.755  -1.678  -2.964
O  -0.566  -2.328  -3.335
C  0.306  -2.675  -2.299
H  -2.983  -2.511  -6.760
H  -4.541  -2.090  -6.110
H  -4.061  -3.727  -6.232
H  -3.507  -0.850  -3.924
H  -2.000  -0.924  -4.966
H  -2.293  -2.251  -2.194
H  -1.600  -0.667  -2.537
H  0.695  -1.779  -1.807
H  1.227  -3.134  -2.742
H  -0.096  -3.408  -1.553
C  -3.203  1.402  -0.467
O  -3.453  1.359  0.934
C  -4.678  2.028  1.286
C  -4.659  3.528  0.953
O  -3.576  4.126  1.664
C  -3.835  5.335  2.347
H  -2.907  2.390  -0.830
H  -4.048  1.074  -1.097
H  -2.328  0.858  -0.727
H  -4.740  1.914  2.355
H  -5.508  1.535  0.791
H  -5.629  3.953  1.239
H  -4.534  3.564  -0.133
H  -2.884  5.737  2.663
H  -4.461  5.209  3.238
H  -4.328  6.025  1.652
C  -7.393  5.568  -0.457
O  -7.692  4.170  -0.541
C  -7.668  3.632  -1.837
C  -7.971  2.121  -1.853
O  -6.997  1.390  -1.151
C  -7.148  -0.029  -1.169
H  -6.378  5.803  -0.814
H  -7.409  5.869  0.575
H  -8.108  6.232  -0.982
H  -6.676  3.792  -2.276
H  -8.437  4.113  -2.478
H  -7.935  1.853  -2.926
H  -8.977  1.918  -1.477
H  -6.309  -0.463  -0.622
H  -7.114  -0.420  -2.176
H  -8.054  -0.440  -0.699
C  -11.366  -3.483  -2.540
O  -10.004  -3.792  -2.373
C  -9.261  -2.875  -1.569
C  -7.790  -3.112  -1.550
O  -7.176  -2.799  -2.765
C  -5.787  -3.186  -2.791
H  -11.866  -4.426  -2.818
H  -11.606  -2.748  -3.316
H  -11.868  -3.143  -1.599
H  -9.653  -2.914  -0.554
H  -9.423  -1.884  -1.986
H  -7.596  -4.192  -1.357
H  -7.368  -2.556  -0.721
H  -5.179  -2.399  -2.325
H  -5.461  -3.189  -3.813
H  -5.582  -4.160  -2.311